(Material)
____________
Below is a cluster of 2 separate species, C4H7NOS in total at a distorted geometry, with properties calculated with ωB97M-V with the def2-TZVPD basis set.

Summary:
* frontier orbital gap: 8.44 eV
* ΔE to the lowest compared entry with this formula, charge and spin: 1.414 eV
* E_HOMO: -8.48 eV

Each line ends with the natural charge from an NBO analysis.
Geometry (Å):
C  4.041  0.836  0.616  0.84
C  -1.176  -0.653  -0.486  -0.04
C  -0.927  0.249  0.701  -0.70
C  -2.324  -0.372  -1.363  -0.69
N  3.100  0.162  0.922  -0.76
O  4.704  1.562  0.003  -0.50
S  -0.052  -1.787  -0.798  0.02
H  -0.214  1.018  0.531  0.25
H  -0.324  -0.224  1.494  0.24
H  -1.823  0.675  1.181  0.21
H  -3.002  0.083  -0.563  0.21
H  -2.761  -1.307  -1.695  0.24
H  -2.246  0.266  -2.207  0.25
H  3.003  -0.507  1.664  0.42



Below is a structure of composition C6H13N2O4S3SbV, with properties calculated with ωB97M-V with the def2-TZVPD basis set.

Summary:
* multiplicity: 2
* frontier orbital gap (alpha / beta): 6.42 / 7.63 eV
* ΔE to the lowest compared entry with this formula, charge and spin: 0.000 eV
* E_HOMO (alpha / beta): -7.64 / -7.98 eV
* <S²>: 0.7891

Each line ends with the natural charge from an NBO analysis.
Geometry (Å):
V  -1.409  -0.661  -0.127  0.89
C  2.265  -2.461  0.783  -0.62
C  1.432  -1.966  -0.380  0.14
C  2.224  -1.872  -1.676  -0.63
O  0.880  -0.666  -0.049  -0.72
C  0.221  -2.880  -0.629  0.78
O  0.316  -4.073  -0.551  -0.56
O  -0.883  -2.232  -0.979  -0.68
H  3.149  -1.833  0.906  0.21
H  2.573  -3.489  0.600  0.24
H  1.679  -2.432  1.701  0.23
H  3.073  -1.194  -1.550  0.21
H  1.594  -1.516  -2.492  0.22
H  2.611  -2.855  -1.941  0.25
H  1.375  0.035  -0.484  0.50
S  -4.461  0.679  2.893  -0.87
Sb  -3.961  -1.260  1.850  0.99
S  -3.483  -0.478  -0.571  -0.36
S  -1.439  -1.185  1.971  -0.42
C  0.435  3.462  -1.037  -0.40
N  -0.446  3.405  0.116  -0.59
C  -1.179  2.309  0.406  0.82
N  -2.055  2.369  1.392  -0.80
O  -0.949  1.264  -0.279  -0.70
H  1.030  4.369  -0.968  0.22
H  -0.120  3.467  -1.976  0.21
H  1.108  2.609  -1.037  0.20
H  -0.695  4.268  0.565  0.40
H  -2.218  3.229  1.886  0.40
H  -2.667  1.589  1.658  0.46



Below is a structure of composition C5H10O at a distorted geometry, with properties calculated with ωB97M-V with the def2-TZVPD basis set.

Summary:
* frontier orbital gap: 9.87 eV
* ΔE to the lowest compared entry with this formula, charge and spin: 5.186 eV
* E_HOMO: -9.55 eV

Each line ends with the natural charge from an NBO analysis.
Geometry (Å):
C  1.513  -1.278  0.799  -0.63
C  1.048  -0.134  -0.086  0.16
O  1.240  -0.584  -1.332  -0.65
C  -0.639  0.130  0.496  -0.28
C  -1.205  1.379  0.191  -0.35
C  -1.688  0.165  -0.552  -0.46
H  0.835  -2.115  0.590  0.21
H  1.404  -0.917  1.829  0.21
H  2.538  -1.543  0.535  0.21
H  1.610  0.776  0.211  0.15
H  0.643  0.368  -2.025  0.44
H  -0.919  -0.287  1.461  0.22
H  -1.937  2.053  0.610  0.23
H  -0.282  2.082  -0.664  0.11
H  -1.432  0.069  -1.588  0.20
H  -2.729  -0.165  -0.475  0.22



Below is a structure of composition C64H48BrP3ReSSi at a distorted geometry, with properties calculated with ωB97M-V with the def2-TZVPD basis set.

Summary:
* multiplicity: 4
* frontier orbital gap (alpha / beta): 6.54 / 5.84 eV
* E_HOMO (alpha / beta): -6.17 / -6.63 eV
* <S²>: 3.7872

Each line ends with the Mulliken spin population.
Geometry (Å):
Re  1.485  -0.269  0.797  2.26
C  -0.204  -3.713  5.808  0.01
C  0.798  -2.757  5.679  -0.02
C  0.831  -1.871  4.599  -0.02
C  -0.225  -1.875  3.728  0.08
C  -1.114  -2.935  3.760  0.00
C  -1.175  -3.837  4.807  -0.01
P  -0.302  -0.395  2.666  -0.02
C  -0.542  1.089  3.787  0.00
C  0.092  1.301  4.995  0.02
C  -0.010  2.518  5.674  0.00
C  -0.697  3.613  5.164  0.00
C  -1.281  3.446  3.915  0.00
C  -1.187  2.252  3.229  0.01
C  -2.029  -0.521  2.069  -0.01
C  -3.060  -0.484  3.005  0.00
C  -4.379  -0.355  2.585  0.00
C  -4.618  -0.477  1.199  0.00
C  -3.598  -0.602  0.268  0.00
C  -2.259  -0.576  0.680  -0.04
____________

(Exercise)
Your job: filter the material earlier on: keep the lines with the word "in".

(Here it is)
Below is a cluster of 2 separate species, C4H7NOS in total at a distorted geometry, with properties calculated with ωB97M-V with the def2-TZVPD basis set.